Friday, June 28, 2013

My visa run to Japan

Well I had a hell of a time coming to Korea, if you need a reference re-read “pre-travel woes”. I came to Korea without my E2 work visa with the understanding that I would travel to Japan in my first two weeks to get my visa. Well, the time came and off I went.

I took it as more stamps in the passport and a chance to check out Japan for a bit. I flew from Busan to Fukuoka, Japan. Which was a quick 50 minutes up and down. I woke up at 4:45 AM to shower, eat breakfast, and catch the subway to the airport. I did it without any complications. Holy cow does Korean Air hook it up! In my very short 50 minutes we were given a snack (Kim bop) and something to drink. You’re lucky if you get that on a 4 hour flight in the states.

The super cute Korean man sitting next to me tried not to watch me eat the Kim bop but apparently my expressions were too much to pass up. A kim bop is a triangle Korean sushi roll. On the outside there is sea weed and the inside was rice and tuna. I’m not the biggest fan of sea weed, so that’s prolly where the facial expressions came in.

What comes next are molecular data, not part of the entry >
........
(1)
Formula: BeH16O8
Source: the Open Molecules 2025 dataset
Level of theory: the ωB97M-V functional and the def2-TZVPD basis

XYZ file:
```
25
BeH16O8 | the Open Molecules 2025 dataset | the ωB97M-V functional and the def2-TZVPD basis
Be 0.0582 0.0874 -0.0390
O -1.3784 2.0393 3.1435
H -1.0400 2.4743 3.9261
H -2.1058 1.5046 3.4617
O 1.0702 4.0195 -0.7974
H 1.7270 4.5558 -1.2416
H 0.4072 4.6450 -0.5053
O 0.0942 -0.4556 -4.2671
H 0.9104 -0.6327 -4.7347
H -0.5754 -0.4395 -4.9508
O 1.8768 -1.3526 3.3319
H 1.3186 -1.7148 4.0201
H 2.7690 -1.5444 3.6208
O -3.1622 1.8080 -1.3538
H -4.0646 1.6785 -1.0619
H -3.2141 2.5293 -1.9810
O 0.2221 -3.7074 -1.1454
H 0.5847 -4.4237 -0.6241
H -0.0465 -4.1200 -1.9662
O -2.4681 -2.1462 2.1440
H -3.2647 -2.4759 1.7280
H -2.4517 -2.5713 3.0015
O 3.8539 0.0850 -1.2411
H 4.4461 0.8223 -1.0931
H 4.4333 -0.6650 -1.3750
```

Net charge   +2
HOMO level   -17.223 eV
E_tot   -625.3520 hartree
Orbital gap   3.21 eV
LUMO   -14.016 eV

natural (NBO) population analysis, charges in e, atoms 1 to 5: 1.531, -0.888, 0.495, 0.485, -0.920

***

(2)
Formula: Br2ClOPS2
Source: the Open Molecules 2025 dataset
Level of theory: the ωB97M-V functional and the def2-TZVPD basis

XYZ file:
```
7
Br2ClOPS2 | the Open Molecules 2025 dataset | the ωB97M-V functional and the def2-TZVPD basis
O 0.7524 1.9531 -0.0830
P 0.7103 0.5034 -0.1115
S 0.7394 -0.2536 -2.1123
S -0.7319 -0.2303 1.3407
Cl 3.3114 -0.8663 0.8356
Br -1.3779 -0.8007 -2.3352
Br -0.2764 -2.2773 1.3418
```

HOMO level (spin up / spin down)   -8.318 / -9.717 eV
E_tot   -6821.1176 hartree
Orbital gap (spin up / spin down)   7.08 / 5.17 eV
LUMO (spin up / spin down)   -1.241 / -4.547 eV
<S²>   2.0092
Spin multiplicity   3

natural (NBO) population analysis, charges in e, atoms 1 to 5: -1.014, 1.271, -0.133, -0.117, 0.031

***

(3)
Formula: Br2H2N2
Source: the Open Molecules 2025 dataset
Level of theory: the ωB97M-V functional and the def2-TZVPD basis

XYZ file:
```
6
Br2H2N2 | the Open Molecules 2025 dataset | the ωB97M-V functional and the def2-TZVPD basis
Br -0.9983 -1.5548 -1.2575
N -0.7845 0.1296 -0.4341
N 0.1557 0.3012 0.6910
Br 2.0870 0.3935 0.4457
H -0.4584 0.9057 -0.9947
H -0.0015 -0.1753 1.5497
```

HOMO level   -9.276 eV
E_tot   -5258.6266 hartree
Orbital gap   9.08 eV
LUMO   -0.198 eV
SMILES   BrNNBr

natural (NBO) population analysis, charges in e, atoms 1 to 5: 0.148, -0.497, -0.515, 0.100, 0.382

***

(4)
Formula: Br2H2N2O2S
Source: the Open Molecules 2025 dataset
Level of theory: the ωB97M-V functional and the def2-TZVPD basis

XYZ file:
```
9
Br2H2N2O2S | the Open Molecules 2025 dataset | the ωB97M-V functional and the def2-TZVPD basis
N 1.2358 0.8776 0.1643
N -2.3208 0.5802 -2.7697
O 0.7607 -0.7998 -1.7575
O 2.2274 1.1261 -2.2318
S 1.1798 0.5286 -1.4714
Br -1.0766 1.7677 -2.4569
Br -3.7634 0.5576 -1.6079
H 1.1288 1.7889 0.4374
H 1.1807 0.1541 0.9473
```

HOMO level (spin up / spin down)   -8.445 / -9.497 eV
E_tot   -5807.2179 hartree
........

After I landed I took the subway to Tojinmachi Station and it was a short walk to the Korean consulate, of course I got lost a few times, but thanks to a nice Japanese women I found my way. *** For all of you reading this I FULLY expect that you will be nice and helpful to anyone who does not speak your language, without all the help I’ve been getting from complete strangers I would have been so lost. I will always remember all the help I’ve gotten and I will NEVER treat someone disrespectfully because they do not speak English in the states. I am eternally grateful to all the wonderful, helpful people I have met!*** I filled out the paperwork and was able to explore the city!

The first thing I discovered in Japan was the amazing Japanese toilets! They are fully equipped with butt spray function, bidet, flushing sounds, “powerful deodorizer”, and seat warmer. I tried all of these functions and giggled like a little girl the whole time. When I came out of the bathroom some older Japanese women was looking at me funny… lol I would have looked at me funny too! For real, I do enjoy the bidet/butt spray function, it leaves you feeling so clean and refreshed!

McDonalds menu! Don’t worry I didn’t eat there, I just took a picture. Everything was the same except a fish sandwich that had shrimp on top!

This is the Fukuoka Yafuoku! Dome, where they play baseball. Baseball is pretty popular in Asia. The next few photos are from around the stadium.


Then I went to this park to look at the Korean straight from the other side!

Ugh. Who is it that said the worse part of our generation will be apathy? I think it was Audrey Hepburn… but I could be wrong. I was so sad to see all the garbage on the beach.

There is Fukuoka Tower!

There was a Hard Rock café by the stadium. I didn’t eat there either.

Oh hey, Pokémon!

Ahahahahah a whole store dedicated to dressing your dog up and baby carriages for your dog too!


This is where I ate. I just pointed at a picture and hoped for the best. I got a noodle dish with squid, shrimp and pork. It was really yummy!

Does anyone remember these!!!

Here is my hotel room, I stayed at the Heiwandai Hotel. They hooked it up too. They gave me complimentary shampoo, conditioner, body wash, ear swabs, toothbrush and paste, body sponge, and pajamas!


So smart!!! When you flush the toilet, the clean water that fills up the bowl is what you use to wash your hands. Talk about water conservation. I was so excited about that.

If you ever travel to Japan, no need for a power converter, they use the same plugs as the US!

The next day I had to wait until 3:30 to pick up my visa, so I had the whole day to explore. I started at Ohori Park.


Ahhhhh, my worst nightmare, giant horrifying fish!
Me and a pagoda!


 Baby turtle.

Signs are funny here. Basically if you let your dog poop in the park and you don’t clean it up, some man is gonna be angry!

In the park there was a Japanese Garden. I went to it and it was so pretty! There were beautiful gardens, a coy pond, and some waterfalls.


My sumo friend at the Fukuoka Art Museum. I also bought a print of a cherry blossom tree for my “Around the World art collection”.

In the park there was the Fukuoka Castle Ruins. The next few pictures are of the castle gate, the steps, some people dressed up in costume (I’m not sure why they were there but I took it as a photo-op!), the gardens, the grounds, the guesthouse, the view from the top.


Now I’m at the Gokoku Shrine!


At this point I made my way back to the Korean consulate and I got my visa! Woot Woot, I’m legit to work in Korea now!

This is the Marizon, which is a fancy place you can have your wedding! I met a nice Irish man, thank god because I hadn’t talked to a single person for about 24 hours and I was going crazy! We were gonna get hitched but we decided against it since we had just met. :p We had a few beers at a place on the beach. It was nice and I made a new friend! He lives in Seoul and I hope to see him again. But I'm pretty sure I gave him the wrong e-mail. :(

This Is Fukuoka Tower at night

The next day I had the whole day to kill. So I walked through the park and down the “Rodeo Drive” of Fukuoka and made my way to canal city. Which is a huge 5 story shopping complex. Most of you know how much I enjoy shopping so I walked around for a bit looking at the stores, got bored and decided to try Ramen Stadium out! It was on the 5th floor of the complex. Which consisted of a few different places you could choose from to eat. Thank god they had these booths that you paid for your meal and it was in English so I knew what I was ordering! I choose the pork ramen with dumplings. Gave my ticket to the person at the counter and took a seat! I wish I could tell you that it was really yummy but, the pork was like uncured bacon, super-duper fatty. So there was a layer of grease at the top of the bowl. I liked the noodles and bean sprouts and I left the lard filled broth in the bowl. The dumplings were really good!


Here I am making Ramen. I asked these girls to take the photo, they did and then they ran away giggling? Silly Japanese girls!

They had one whole floor dedicated to an arcade…. And BRIAN KORBAR, cell phones. I’ve never seen so many phones before in my life.

I was very bored of the mall so I went to a few temples. This is the Tochoji Temple. I came just in time for worship! So I stepped in a watched for a while. There were 9 monks in orange robes chanting, banging a few gongs, and lighting a fire! It was really cool to watch. I just think other religions are so interesting!

I had about 2 more hours to kill before heading to the airport, so now I’m sitting in a Starbucks in Japan writing this so I didn’t forget any details!

My feet hurt real bad, I’m ridiculously sleepy, and I’m ready to go back to my comfy home in Busan… I can’t believe it feels like home there already.


  1. we miss you and are seeing if we can comment now!

  2. Yeah kelly just needed some help from her Hubby.she will post your head off now :)

  3. Hi Sarah...I just love reading your blogs and seeing your photos!! You are a great story teller. Everyone is so happy for you and glad that you are enjoying your adventure. Good for you, it took a lot of guts to go there. Traveling is awesome, seeing the world is priceless, you only live once, better to do it when you are young and healthy. God bless you...Miss you...Love you, Auntie Dawn
